Monday, May 23, 2005

### Calculated crystals from another source follow
<<<
# 1
# KGa3Os

A geometry-optimized KGa3Os structure (PBE-GGA, Alexandria via LeMat-Bulk).

The structure in extended XYZ format:
```
10
Lattice="4.961 0.000 0.000 2.054 6.172 0.000 1.140 2.812 8.409" Properties=species:S:1:pos:R:3 pbc="T T T"
K 0.000 0.000 0.000
K 3.231 7.149 3.618
Ga 2.421 5.907 6.774
Ga 2.561 2.625 0.793
Ga 3.748 3.558 3.048
Ga 5.400 8.021 6.063
Ga 4.992 3.540 0.778
Ga 6.128 4.164 5.194
Os 3.646 4.108 5.372
Os 4.904 5.821 6.944
```

## Properties
Total moment   0.00 μB per cell
DOS at the Fermi energy   4.07 states/eV per cell

---

# 2
# KGa3Os

A geometry-optimized KGa3Os structure (PBE-GGA, Alexandria via LeMat-Bulk).

The structure in extended XYZ format:
```
10
Lattice="3.464 -6.207 0.000 3.464 6.207 0.000 0.000 0.000 4.942" Properties=species:S:1:pos:R:3 pbc="T T T"
K 3.464 5.453 3.707
K 3.464 -5.453 1.236
Ga 2.249 2.940 1.236
Ga 4.679 2.940 1.236
Ga 3.464 0.000 0.000
Ga 3.464 0.000 2.471
Ga 2.249 -2.940 3.707
Ga 4.679 -2.940 3.707
Os 3.464 2.152 3.707
Os 3.464 -2.152 1.236
```

## Properties
Total moment   0.00 μB per cell
DOS at the Fermi energy   0.82 states/eV per cell

---

What calculated formation energy values result from the calculations? In sequence: -12.0; 103.4 meV per atom.
What energy relative to the lowest polymorph listed for this composition values result from the calculations? In sequence: 227; 342 meV/atom.
>>>

I can still be a committed Christian and vote for a Democrat

Recently a friend of Mrs. Expat Teacher stayed with us for a few days and it was very enlightening. It was the first time I'd ever talked with someone who believes that the Bible is to be interpreted completely literally, to the point of saying that God must have 2 arms and 2 legs and must be all skin colors (I guess striped like a zebra?!?!). This friend didn't seem too engaged in politics, but consistently supports Republican candidates. She couldn't seem to process how I, as a Christian, could vote for anyone but a Republican.

Let me try to show how it is possible to be a dedicated Christian, committed to the causes of Christ and vote for EITHER party.

The most important thing to differentiate is the difference between principle and policy. Principles are ways to live and policies are how government encourages or discourages citizens to live up to those principles.

Here are some examples.

Christian principle: Life is God's gift and only God may give or take life

Republican Policy: Outlaw abortion, outlaw removal of feeding tubes (i.e. Schiavo case)
Democratic Policy: Outlaw the death penalty, ensure health care for the poor

Another example, the Christian principle is “"You shall have no other gods before me” (Exodus 20:3)

Republican Policy: Erect the ten commandments in public spaces to ensure people remember the Lord.
Democratic Policy: Keep a strong wall between church and state to ensure that all can worship the Lord without having to subscribe to a specific denominational theology.

Yet again, the Christian principle is “Love your neighbor as yourself.” (Matthew 19:19)

Republican Policy: Recognize and celebrate personal sacrifice in the military, enable more personal generousity by lowering taxes and channelling public funds through faith-based organizations.
Democratic Policy: Enact and enforce civil rights legislation, enact and enforce strong environmental standards, enact a progressive tax policy to ensure a sharing of the national wealth.

All of these policy options support the overriding principle. Unfortunately no party is perfect. Each policy option seems to be the right, if slightly limited approach to achieving that principle. It is in the policies that we Christians (and Americans) will disagree. The reality is that both parties fall short of really upholding the entire principle consistently and across the board. So please understand that if you can’t believe a Christian could vote for a Democrat because Democrats support abortion, that same voter may well not understand your vote for a Republican that supports gutting health care coverage. Yet you are both very concerned about the sanctity of life principle and can both vote with a clean conscience doing so.
